Lifezette, November 22, 2016
With respect to the new immigration policies that are inevitable under the Trump administration, most of the attention has been focused on changes at the Departments of Justice and Homeland Security. But immigration security starts beyond our borders, and one critical agency, the State Department, has largely escaped accountability for policies and programs that over time have greatly eroded our security and the integrity of our immigration system by facilitating the entry of millions of foreigners who have settled here illegally — including some who want to attack us.
Team Trump will have a laundry list of urgent immigration-related tasks at Foggy Bottom, including action on visas and passports, not to mention refugees. The biggest challenge for the incoming appointed leadership will be overcoming the senior career managers' obliviousness to the impact of key policies on American communities (as opposed to the travel industry or the clients of immigration lawyers) and their clear preference for facilitating travel over preventing unqualified or dangerous foreigners from entering.
'''
Entry 1
A molecular structure, C36H47N7P2Sc, computed with ωB97M-V/def2-TZVPD.

The geometry in ORCA input format:
```
! RIJCOSX wB97M-V def2-TZVPD def2/J DEFGRID3
* xyz 1 1
Sc 0.62529 0.30014 0.99780
N 4.55584 0.72009 2.96056
C 3.39249 0.11962 2.72214
N 2.62998 0.94265 2.02249
C 3.40755 2.04549 1.85572
N 4.59260 1.94871 2.40628
C 2.94236 3.17911 1.05312
C 3.72691 4.31418 0.87990
N 3.33527 5.32011 0.11237
C 2.15393 5.18505 -0.47717
C 1.36516 4.05686 -0.29929
N 1.74896 3.03976 0.46941
H 5.35285 0.37110 3.46823
H 3.12267 -0.87963 3.02353
H 4.68796 4.39407 1.37231
H 1.81919 5.99550 -1.11252
H 0.41302 3.97898 -0.79986
C -3.34637 1.95090 2.72831
C -2.99854 2.39822 1.30049
C -1.70867 3.21163 1.44856
C -4.11344 3.32037 0.79428
P -2.65705 0.88904 0.21373
N -1.25035 0.27429 0.55700
C -4.01474 -0.37745 0.52172
C -3.66863 -1.14975 1.80819
C -5.44034 0.17572 0.61812
C -3.97746 -1.41627 -0.60842
C -2.67750 1.36068 -1.62062
C -2.05345 0.21039 -2.43926
C -4.04645 1.70435 -2.21616
C -1.74040 2.55659 -1.81272
H -3.32859 2.83439 3.37153
H -2.61293 1.24283 3.11436
H -4.33700 1.51269 2.81158
H -1.92738 4.10556 2.03836
H -1.28693 3.53037 0.50403
H -0.95014 2.64503 1.99374
H -4.30509 4.08432 1.55211
H -5.04910 2.78940 0.62296
H -3.84183 3.83948 -0.12367
H -3.85093 -0.57839 2.71301
H -2.62645 -1.47025 1.79953
H -4.30376 -2.03739 1.85333
H -5.58965 0.81637 1.48460
H -6.12748 -0.66794 0.72239
H -5.74069 0.72891 -0.27044
H -2.96539 -1.77908 -0.78807
H -4.39187 -1.03696 -1.53965
H -4.59368 -2.26649 -0.30663
H -2.78319 -0.53627 -2.73483
H -1.26141 -0.29304 -1.88419
H -1.62812 0.62424 -3.35704
H -4.71961 0.84931 -2.21516
H -3.90554 1.99859 -3.25983
H -4.53927 2.53026 -1.70800
H -0.74764 2.31688 -1.42541
H -2.10593 3.46780 -1.34105
H -1.64432 2.75705 -2.88244
N 1.17640 -1.55046 1.32080
P 1.91500 -2.28942 0.16968
C 3.15314 -3.48479 0.71222
C 3.19761 -3.78687 2.06964
C 4.12457 -4.70246 2.54933
C 5.00977 -5.31314 1.67348
C 4.96656 -5.01737 0.31616
C 4.03844 -4.10849 -0.16532
C 2.79446 -1.01967 -0.80909
C 1.96685 -0.11274 -1.48604
C 2.48399 1.06914 -2.00400
C 3.83249 1.35949 -1.84804
C 4.65880 0.46265 -1.18290
C 4.14476 -0.71926 -0.66186
C 0.83550 -3.10843 -1.02577
C 1.24735 -3.42890 -2.31817
C 0.37338 -4.06067 -3.18795
C -0.91271 -4.37704 -2.76781
C -1.32903 -4.05058 -1.48537
C -0.46007 -3.40734 -0.61485
H 2.48278 -3.31350 2.73335
H 4.14925 -4.94623 3.60338
H 5.73182 -6.02791 2.04574
H 5.65386 -5.50006 -0.36585
H 4.00735 -3.88784 -1.22571
H 0.91926 -0.36404 -1.65672
H 1.83612 1.75232 -2.53966
H 4.24181 2.27546 -2.25445
H 5.71275 0.68417 -1.07179
H 4.79674 -1.40882 -0.13855
H 2.24451 -3.17086 -2.65671
H 0.69261 -4.30634 -4.19215
H -1.59270 -4.87587 -3.44608
H -2.33351 -4.29346 -1.16384
H -0.77469 -3.11886 0.38154
*
```

Output
Orbital gap, eV: 7.56
LUMO, eV: -2.90
Highest occupied orbital energy, eV: -10.5
'''
The calculated molecules stop here:
Under the Obama administration, the annual number of temporary visas issued has gone up by more than 5 million — an increase of 47 percent, from 5.8 million issued in 2009 to 10.9 million in 2015, according to the State Department's Bureau of Consular Affairs. This happened even as more countries were added to the Visa Waiver Program, which lets citizens of certain countries enter without a visa.
Too many of these visas were mistakes. DHS reports that in 2015, more than 500,000 people who came in as short-term temporary visitors did not go home as required, not counting an unknown additional number of student or work visa overstayers. These cases are thought to represent about 40 percent of the total population of illegal aliens. Building a wall will not keep them out; that's the job of the State Department.
The new secretary of state can start by shredding Obama's Executive Order 13597, issued in 2012, which essentially directed the State Department to issue more visas for tourism and business, and specifically to crank out more visas in Brazil and China.
Under Obama, annual visa issuances in Brazil have doubled and issuances in China have quintupled, as the review process appears to be near rubber-stamp level in these two countries. Ninety-five percent of all short-term visa applications are approved in Brazil and 90 percent are approved in China.
More extreme vetting for this large flow of foreign visitors is certainly warranted, because State has let a few bad ones slip through in recent years: San Bernardino terrorist Tashfeen Malik; Quazi Mohammad Rezwanul Ahsan Nafis, an unsuccessful college student arrested in 2012 for plotting to bomb the Federal Reserve; Umar Farouk Abdulmutallab, the 2009 Nigerian underwear bomber; and Thomas E. Duncan, an apparent visa overstayer from Liberia who died of Ebola in Texas in 2014, and also infected a Dallas nurse.
The goal of the vetting is not just to detect those who pose a threat, but also to prevent more illegal immigration, which displaces Americans and legal immigrants from job opportunities and burdens taxpayers with the cost of welfare services for the illegal aliens and their children. Even though many, many applicants resort to fraud and misrepresentation to obtain a visa, State Department management does not make fraud prevention a high priority. No new laws are needed in the short term, just firmer application of the existing ones and strong leadership so that officers know that proper diligence and exposing fraud and threat will be valued — not shunned.
New leadership can mandate better officer training, the establishment of a systematic method to assess security and fraud risks, more interviews, more verification of documents and statements, social media analysis, and, especially, analysis of the overstay data.
Trump's State Department should also resurrect enforcement of a provision of the law that has been defined out of all utility in immigration control – Section 212(a)(4), which states that applicants who are likely to become a "public charge," or dependent on government welfare, are inadmissible. Current policy is to count only cash-based assistance so visitors can take advantage of almost any welfare program and never be denied entry as a result. For example, a woman who comes here and gives birth in a U.S. hospital courtesy of taxpayers, returns home within six months, and then applies for a visa to do it again a few years later would not necessarily be refused on public charge grounds, as pre- and post-natal services are exempted from the definition. Foreign students and guest workers, too, should lose their status if they receive any form of welfare. In 2015, only 35 temporary visa applicants were refused entry on public charge grounds.
== Records of molecules, kept here for reference ==
-- begin --
Molecular formula: C32H26BrF4IN3NaO
Method: DFT, ωB97M-V/def2-TZVPD

Properties
Charge = -2
Energy above the lowest of the compared OMol25 structures with the same formula, charge and spin = 19.0 kcal/mol
F_max = 0.29 eV/Å
Gap between HOMO and LUMO (alpha / beta) = 5.83 / 5.83 eV
Lowest unoccupied orbital energy (alpha / beta) = 3.57 / 3.56 eV
HOMO level (alpha / beta) = -2.26 / -2.26 eV

Geometry (Å):
Na (0.3842, 0.1181, -1.0490)
Br (-0.1953, 2.5296, 1.3744)
C (-1.7938, 3.1964, 0.5617)
C (-2.5886, 3.9849, 1.3438)
C (-3.7896, 4.5016, 0.8105)
C (-4.1366, 4.2191, -0.4781)
C (-3.3156, 3.3994, -1.2945)
C (-3.6884, 3.1072, -2.6266)
C (-2.8944, 2.2976, -3.3876)
C (-1.7161, 1.7330, -2.8432)
C (-1.2700, 1.9511, -1.5495)
C (-2.1032, 2.8324, -0.7849)
H (-2.2978, 4.2090, 2.3614)
H (-4.4271, 5.1199, 1.4322)
H (-5.0565, 4.6135, -0.8988)
H (-4.6093, 3.5275, -3.0185)
H (-3.1802, 2.0742, -4.4121)
H (-1.1475, 1.0731, -3.4988)
C (4.1665, -0.9951, 0.7530)
C (3.3909, -0.3571, 1.8508)
N (2.0880, -0.3612, 1.9900)
C (1.8306, 0.2967, 3.1735)
C (2.9902, 0.7085, 3.7518)
N (3.9849, 0.2800, 2.8983)
H (3.5727, -0.9913, -0.1596)
H (4.4267, -2.0236, 1.0146)
H (5.0845, -0.4419, 0.5468)
H (0.8239, 0.4528, 3.5258)
H (3.1956, 1.2676, 4.6476)
H (4.9684, 0.4530, 2.9942)
F (-6.1495, 0.2229, -0.8863)
C (-5.0151, -0.2238, -0.2922)
C (-4.5872, -1.5164, -0.5485)
C (-3.4327, -1.9613, 0.0615)
C (-2.6851, -1.1337, 0.9383)
C (-1.4872, -1.5630, 1.5242)
C (-3.1813, 0.1760, 1.1644)
C (-4.3277, 0.6326, 0.5537)
H (-5.1332, -2.1684, -1.2204)
H (-3.0862, -2.9663, -0.1524)
H (-1.0608, -2.5235, 1.2713)
H (-0.9211, -0.9159, 2.1805)
H (-2.6202, 0.8353, 1.8141)
H (-4.6786, 1.6476, 0.6960)
N (-2.4254, -1.8394, -3.2773)
C (-1.4074, -2.4190, -2.5710)
O (-0.7701, -1.7888, -1.7216)
C (-1.1125, -3.7974, -2.8865)
I (-4.4340, -4.9851, -2.6589)
H (-2.7127, -0.9443, -2.9021)
H (-3.1816, -2.4697, -3.5281)
H (-0.5475, -4.3718, -2.1703)
H (-1.5058, -4.2643, -3.7742)
F (10.0286, 1.7091, -3.8178)
C (9.0203, 2.4775, -4.3039)
F (9.3262, 3.7492, -3.9734)
F (9.1356, 2.3979, -5.6529)
C (7.6808, 2.0520, -3.8122)
C (6.8687, 2.9085, -3.0804)
C (5.6301, 2.4831, -2.6344)
C (5.1573, 1.1876, -2.9020)
C (5.9971, 0.3405, -3.6538)
C (7.2326, 0.7627, -4.0977)
C (3.8953, 0.7447, -2.4235)
C (2.8163, 0.3384, -1.9847)
H (7.2105, 3.9115, -2.8613)
H (4.9956, 3.1497, -2.0656)
H (5.6467, -0.6586, -3.8754)
H (7.8640, 0.0951, -4.6728)

Cartesian forces (eV/Å) of the 2 atoms listed first:
0.16 0.11 -0.10
-0.04 0.01 -0.06
-- stop --
Speaking of foreign students and workers, the number of admissions has shot up under the Obama administration. These visas are frequently overstayed or used as a pretext for entry, and are coveted by terrorists because they allow a long duration of stay. State, like Congress, has been extraordinarily deferential to the higher education industry in setting policies, even to the point where now our consular officers overseas are required to help staff college fairs to assist U.S. schools in recruiting foreign students. In addition, officers are told to ignore the section of the law that says applicants must show a likelihood to return home, and suspend all judgement on applicant credibility — and not determine whether it makes any sense whatsoever to allow hundreds of thousands of unattached young foreigners into the country to take classes at community colleges, marginal schools, or vocational programs like dog grooming academies, especially when terrorist groups are promising to infiltrate our visa programs.
Ditto for the much-abused exchange visitor programs, most of which are really just cheap labor visas glorified with the trappings of "cultural diplomacy." Each year, more than 350,000 "exchange" visas are issued to nannies, life guards, chambermaids, ski instructors, electricians, and even teachers, doctors, and research assistants. The sponsors and third-party middlemen are making money hand over fist thanks to their cushy relationship with State officials, who look the other way at this multinational employment agency arrangement that persists even after scandals involving sex trafficking, child abuse, workplace injuries, and indentured labor. There is no public diplomacy benefit when exchange visitors go home — if they go home — with a bad experience. The bureau in charge is desperately in need of overhaul, and the number of visas should be slashed.
Many other problems demand attention. Team Trump should look into indications that the Obama administration has worked to suppress visa refusal rates in certain countries to help them qualify for visa waivers. Border crossing cards issued to Mexicans have long been a vehicle for illegal migrants and workers; currently there are about 10 million in use, often by imposters who can easily thwart the non-biometric screenings at the land ports of entry.
We can expect the Trump administration to take a fresh look at refugee resettlement, not just to put the brakes on admissions from risky places, but ideally also to give greater weight to the concerns of the local communities where they are placed by a secret confab of State Department officials and resettlement contractors.
Attached: calculated molecules.
........
{"formula": "C5H5N3", "method": "ωB97M-V/def2-TZVPD", "species": ["N", "N", "N", "C", "C", "C", "C", "C", "H", "H", "H", "H", "H"], "coordinates": [[0.9217, 1.5536, 0.0973], [-0.3800, -0.3193, 0.3833], [5.1071, -0.3541, 0.4921], [-0.6479, 1.0137, 0.3550], [3.0047, 0.4204, -0.5938], [4.0889, -0.0586, 0.0458], [0.7427, -0.7116, -0.3284], [1.7191, 0.6385, -0.2448], [-1.0892, 1.4310, 1.2740], [-1.0385, 1.3976, -0.6032], [1.1313, -1.7388, -0.2388], [-0.7616, -0.8446, 1.1216], [0.6360, -0.8000, -1.4375]], "atomic_forces_ev_per_a": [[-0.88, 1.89, 0.78], [-0.51, -2.14, -0.26], [1.61, -0.66, 0.76], [3.56, 2.38, -1.67], [-0.02, -0.20, -0.95], [-1.14, 0.67, -0.30], [0.98, -1.58, -2.56], [-3.01, -0.71, 1.60], [0.26, -0.11, -0.61], [-0.50, -0.08, 0.58], [-0.05, 0.42, 1.38], [0.20, -0.80, 0.87], [-0.51, 0.92, 0.37]], "nbo_charge": [-0.440, -0.608, -0.214, -0.049, 0.099, 0.115, -0.219, 0.085, 0.213, 0.186, 0.235, 0.403, 0.194], "homo_energy_ev": [-8.9, -8.9], "spin_multiplicity": 1, "charge": 0, "gap_ev": [6.83, 6.81]}
........
Government officials in the dozens of countries that refuse to take back their deportees might want to make that trip to Vegas and Disneyland now, as President-Elect Trump has indicated that he will not put up with their recalcitrance, and could impose visa sanctions if they persist. It will be fun to see who winces more, the foreign government officials or the people who will have to deliver the bad news.
But eventually, some laws will need to be changed in order to bring our legal immigration system into alignment with our national interest. This will require eliminating certain superfluous legal immigration categories like the visa lottery, siblings and other older family members. State, with new leadership, could become an effective advocate for these reforms. The lottery in particular is a drain on agency resources, and generates a shocking amount of fraud. The sibling category is hopelessly oversubscribed and new applications should not even be accepted.
For these reasons and more, it is critical that Trump's State Department appointees be chosen not only for their foreign policy and national security creds, but also for their willingness to rein in the travel facilitation and immigration expansionist culture there that is at the root of so many bad policies.